[File]
<<<
No. 1
DFT (GGA-PBE) results for crystalline Ho6Tm12Th at its relaxed geometry.

Summary:
**D(E_F)**: 30.497 states/eV/cell
**Formation enthalpy at 0 K**: 282 kJ/mol of formula units
**V**: 597 Å³/cell
**Polymorph energy (0 for the lowest one)**: 0.000 eV/atom

POSCAR file:
```
Ho6Tm12Th
1.0
5.876 3.392 4.989
-5.876 3.392 4.989
0.000 -6.785 4.989
Ho Tm Th
6 12 1
Direct
0.185 0.754 0.589
0.246 0.411 0.815
0.411 0.815 0.246
0.589 0.185 0.754
0.754 0.589 0.185
0.815 0.246 0.411
0.045 0.939 0.272
0.061 0.728 0.955
0.152 0.493 0.284
0.272 0.045 0.939
0.284 0.152 0.493
0.493 0.284 0.152
0.507 0.716 0.848
0.716 0.848 0.507
0.728 0.955 0.061
0.848 0.507 0.716
0.939 0.272 0.045
0.955 0.061 0.728
0.500 0.500 0.500
```


No. 2
DFT (GGA-PBE) results for crystalline HoTmTh4 at its relaxed geometry.

Summary:
**D(E_F)**: 6.645 states/eV/cell
**Formation enthalpy at 0 K**: 47 kJ/mol of formula units
**V**: 195 Å³/cell
**Polymorph energy (0 for the lowest one)**: 0.000 eV/atom

POSCAR file:
```
HoTmTh4
1.0
3.478 0.000 0.000
0.000 5.693 0.000
0.000 0.000 9.848
Ho Tm Th
1 1 4
Direct
0.000 0.000 0.000
0.000 0.500 0.500
0.500 0.000 0.334
0.500 0.000 0.666
0.500 0.500 0.167
0.500 0.500 0.833
```


No. 3
DFT (GGA-PBE) results for crystalline HoTm2Th at its relaxed geometry.

Summary:
**D(E_F)**: 7.620 states/eV/cell
**Formation enthalpy at 0 K**: 49 kJ/mol of formula units
**V**: 125 Å³/cell
**Polymorph energy (0 for the lowest one)**: 0.103 eV/atom

POSCAR file:
```
HoTm2Th
1.0
0.000 3.969 3.969
3.969 0.000 3.969
3.969 3.969 0.000
Ho Tm Th
1 2 1
Direct
0.000 0.000 0.000
0.250 0.250 0.250
0.750 0.750 0.750
0.500 0.500 0.500
```


No. 4
DFT (GGA-PBE) results for crystalline HoTmTh6 at its relaxed geometry.

Summary:
**D(E_F)**: 13.312 states/eV/cell
**Formation enthalpy at 0 K**: 95 kJ/mol of formula units
**V**: 257 Å³/cell
**Polymorph energy (0 for the lowest one)**: 0.069 eV/atom

POSCAR file:
```
HoTmTh6
1.0
-2.992 2.992 7.172
2.992 -2.992 7.172
2.992 2.992 -7.172
Ho Tm Th
1 1 6
Direct
0.000 0.000 0.000
0.500 0.500 0.000
0.127 0.627 0.500
0.250 0.250 0.000
0.373 0.873 0.500
0.627 0.127 0.500
0.750 0.750 0.000
0.873 0.373 0.500
```


No. 5
DFT (GGA-PBE) results for crystalline Ho12TmTh5 at its relaxed geometry.

Summary:
**D(E_F)**: 26.584 states/eV/cell
**Formation enthalpy at 0 K**: 46 kJ/mol of formula units
**V**: 567 Å³/cell

POSCAR file:
```
Ho12TmTh5
1.0
7.472 -7.532 0.000
7.472 7.532 0.000
0.000 0.000 5.034
Ho Tm Th
12 1 5
Direct
0.004 0.670 0.500
0.163 0.163 0.000
0.171 0.503 0.000
0.330 0.996 0.500
0.334 0.334 0.500
0.497 0.829 0.000
0.503 0.171 0.000
0.666 0.666 0.500
0.670 0.004 0.500
0.829 0.497 0.000
0.837 0.837 0.000
0.996 0.330 0.500
0.500 0.500 0.000
0.000 0.000 0.500
0.168 0.832 0.000
0.334 0.666 0.500
0.666 0.334 0.500
0.832 0.168 0.000
```


No. 6
DFT (GGA-PBE) results for crystalline Ho2Tm3Th6 at its relaxed geometry.

Summary:
**D(E_F)**: 16.303 states/eV/cell
**Formation enthalpy at 0 K**: 34 kJ/mol of formula units
**V**: 345 Å³/cell

POSCAR file:
```
Ho2Tm3Th6
1.0
1.779 1.027 31.498
-1.779 1.027 31.498
0.000 -2.055 31.498
Ho Tm Th
2 3 6
Direct
0.046 0.046 0.046
0.954 0.954 0.954
0.227 0.227 0.227
0.500 0.500 0.500
0.773 0.773 0.773
0.137 0.137 0.137
0.318 0.318 0.318
0.410 0.410 0.410
0.590 0.590 0.590
0.682 0.682 0.682
0.863 0.863 0.863
```


No. 7
DFT (GGA-PBE) results for crystalline Ho4Tm3Th at its relaxed geometry.
>>>

[Job]
Set down the listing above verbatim.

[Solution]
No. 1
DFT (GGA-PBE) results for crystalline Ho6Tm12Th at its relaxed geometry.

Summary:
**D(E_F)**: 30.497 states/eV/cell
**Formation enthalpy at 0 K**: 282 kJ/mol of formula units
**V**: 597 Å³/cell
**Polymorph energy (0 for the lowest one)**: 0.000 eV/atom

POSCAR file:
```
Ho6Tm12Th
1.0
5.876 3.392 4.989
-5.876 3.392 4.989
0.000 -6.785 4.989
Ho Tm Th
6 12 1
Direct
0.185 0.754 0.589
0.246 0.411 0.815
0.411 0.815 0.246
0.589 0.185 0.754
0.754 0.589 0.185
0.815 0.246 0.411
0.045 0.939 0.272
0.061 0.728 0.955
0.152 0.493 0.284
0.272 0.045 0.939
0.284 0.152 0.493
0.493 0.284 0.152
0.507 0.716 0.848
0.716 0.848 0.507
0.728 0.955 0.061
0.848 0.507 0.716
0.939 0.272 0.045
0.955 0.061 0.728
0.500 0.500 0.500
```


No. 2
DFT (GGA-PBE) results for crystalline HoTmTh4 at its relaxed geometry.

Summary:
**D(E_F)**: 6.645 states/eV/cell
**Formation enthalpy at 0 K**: 47 kJ/mol of formula units
**V**: 195 Å³/cell
**Polymorph energy (0 for the lowest one)**: 0.000 eV/atom

POSCAR file:
```
HoTmTh4
1.0
3.478 0.000 0.000
0.000 5.693 0.000
0.000 0.000 9.848
Ho Tm Th
1 1 4
Direct
0.000 0.000 0.000
0.000 0.500 0.500
0.500 0.000 0.334
0.500 0.000 0.666
0.500 0.500 0.167
0.500 0.500 0.833
```


No. 3
DFT (GGA-PBE) results for crystalline HoTm2Th at its relaxed geometry.

Summary:
**D(E_F)**: 7.620 states/eV/cell
**Formation enthalpy at 0 K**: 49 kJ/mol of formula units
**V**: 125 Å³/cell
**Polymorph energy (0 for the lowest one)**: 0.103 eV/atom

POSCAR file:
```
HoTm2Th
1.0
0.000 3.969 3.969
3.969 0.000 3.969
3.969 3.969 0.000
Ho Tm Th
1 2 1
Direct
0.000 0.000 0.000
0.250 0.250 0.250
0.750 0.750 0.750
0.500 0.500 0.500
```


No. 4
DFT (GGA-PBE) results for crystalline HoTmTh6 at its relaxed geometry.

Summary:
**D(E_F)**: 13.312 states/eV/cell
**Formation enthalpy at 0 K**: 95 kJ/mol of formula units
**V**: 257 Å³/cell
**Polymorph energy (0 for the lowest one)**: 0.069 eV/atom

POSCAR file:
```
HoTmTh6
1.0
-2.992 2.992 7.172
2.992 -2.992 7.172
2.992 2.992 -7.172
Ho Tm Th
1 1 6
Direct
0.000 0.000 0.000
0.500 0.500 0.000
0.127 0.627 0.500
0.250 0.250 0.000
0.373 0.873 0.500
0.627 0.127 0.500
0.750 0.750 0.000
0.873 0.373 0.500
```


No. 5
DFT (GGA-PBE) results for crystalline Ho12TmTh5 at its relaxed geometry.

Summary:
**D(E_F)**: 26.584 states/eV/cell
**Formation enthalpy at 0 K**: 46 kJ/mol of formula units
**V**: 567 Å³/cell

POSCAR file:
```
Ho12TmTh5
1.0
7.472 -7.532 0.000
7.472 7.532 0.000
0.000 0.000 5.034
Ho Tm Th
12 1 5
Direct
0.004 0.670 0.500
0.163 0.163 0.000
0.171 0.503 0.000
0.330 0.996 0.500
0.334 0.334 0.500
0.497 0.829 0.000
0.503 0.171 0.000
0.666 0.666 0.500
0.670 0.004 0.500
0.829 0.497 0.000
0.837 0.837 0.000
0.996 0.330 0.500
0.500 0.500 0.000
0.000 0.000 0.500
0.168 0.832 0.000
0.334 0.666 0.500
0.666 0.334 0.500
0.832 0.168 0.000
```


No. 6
DFT (GGA-PBE) results for crystalline Ho2Tm3Th6 at its relaxed geometry.

Summary:
**D(E_F)**: 16.303 states/eV/cell
**Formation enthalpy at 0 K**: 34 kJ/mol of formula units
**V**: 345 Å³/cell

POSCAR file:
```
Ho2Tm3Th6
1.0
1.779 1.027 31.498
-1.779 1.027 31.498
0.000 -2.055 31.498
Ho Tm Th
2 3 6
Direct
0.046 0.046 0.046
0.954 0.954 0.954
0.227 0.227 0.227
0.500 0.500 0.500
0.773 0.773 0.773
0.137 0.137 0.137
0.318 0.318 0.318
0.410 0.410 0.410
0.590 0.590 0.590
0.682 0.682 0.682
0.863 0.863 0.863
```


No. 7
DFT (GGA-PBE) results for crystalline Ho4Tm3Th at its relaxed geometry.